lauantai 6. lokakuuta 2012

Bushcraft Finland meetup, Vihti, July 2012

This summer´s Bushcraft Finland meet was held on Vihti, southern Finland on a very beautiful spot near two small lakes. It was 2 days  happening starting on saturday and ending sunday. I only reachead place on saturday evening cause I was on summer holiday with my family and came back home quite late and needed to drive to Helsinki to pickup TimoA who was new face on our forum and wanted to attend that meet which was open to everybody. We decided to take bicycles into my car and leave car on start of one logging road where´s few kilometers to meeting point. So we did and reached place around 21:00 on evening and it was very easy to follow camp fire smoke and loud laughter to find other guys cooking lunch around campfire. :)

We didn´t had any "official program" there it was just mainly chatting around campfire and getting to know each other cause there was many newbies there. Sure we tried there many things and people learned new skills & tricks.

Akiri made this bucksaw out of fresh birch and after some trial & erros got it working quite nicely. So next one will be even better.  

Time to cook some pasta so first I boiled some lakewater that it´s safe for foodmaking.
Guys showed off their small EDC survival kits so here´s mine on right side. That small knife I have planned to add into my kit, but need to change for bigger container first. On left there´s Rautasarvi´s very small "bare essentials" kit.
My kit opened. Quite typical set of binding materials, fishkit, means for fire, cutting tools, repair items etc.
Soon there was already dark and guys gathered around campfire to tell stories before sleep.
I slept on my Vihe-shelter which is quite unique mix of lean to and tent.

Next morning I tried make to fire from the birch that have cut last night. And it worked well when there was enough thin chips and I have dried some of them by rounding ball from them in my hands. Thanks from this picture goes to TimoA.

Someone pasted records of molecules at this point:
........
The following is a quantum chemistry calculation of a cluster of 10 separate species, C69H151N7O10 in total at a distorted geometry, from the OMol25 dataset.

Bonds (Å) are listed after each position.
Cartesian coordinates (Å):
1 O 20.171 22.866 15.226  N15 1.432, H200 0.946
2 O 13.889 16.430 21.148  N14 1.425, H126 1.000
3 O 20.894 15.767 18.581  C22 1.396, H117 0.962
4 O 19.861 10.722 15.368  N17 1.413, H87 0.961
5 O 16.957 15.847 12.917  N12 1.372, H185 0.963
6 O 16.521 18.751 22.328  N16 1.465, H175 0.970
7 O 22.936 18.004 14.108  N11 1.430, H176 0.979
8 O 10.200 19.179 18.243  N13 1.433, H135 0.947
9 O 20.699 17.467 16.576  C42 1.434, H166 0.995
10 O 18.515 17.004 15.038  C27 1.444, H130 0.997
11 N 23.234 17.655 12.753  O7 1.430, C35 1.503, C43 1.528
12 N 15.978 15.594 11.989  O5 1.372, C26 1.487, C51 1.501
13 N 11.149 18.109 18.159  O8 1.433, C44 1.497, C72 1.484
14 N 14.825 15.902 22.085  O2 1.425, C40 1.451, C81 1.449
15 N 18.994 23.068 14.436  O1 1.432, C37 1.489, C62 1.517
16 N 17.823 18.953 21.687  O6 1.465, C21 1.501, C77 1.498
17 N 20.883 11.696 15.431  O4 1.413, C56 1.460, C73 1.423
18 C 21.466 10.569 17.552  C56 1.599, H110 1.108, H114 1.082, H220 1.125
19 C 21.543 13.938 15.802  C52 1.544, C73 1.556, H96 1.096, H195 1.105
20 C 12.977 16.503 16.806  C32 1.552, C34 1.559, H132 1.078, H142 1.087
21 C 18.863 19.263 22.723  N16 1.501, C31 1.486, C46 1.540, C66 1.538
22 C 20.213 16.109 19.751  O3 1.396, C76 1.554, H108 1.106, H210 1.111
23 C 13.991 17.373 23.813  C81 1.523, H143 1.099, H193 1.079, H237 1.119
24 C 24.475 19.917 12.848  C43 1.538, H93 1.087, H156 1.082, H174 1.109
25 C 18.678 20.464 14.363  C62 1.567, H89 1.111, H123 1.115, H194 1.064
26 C 14.685 16.112 12.508  N12 1.487, C29 1.549, C39 1.560, C61 1.549
27 C 17.360 17.209 15.881  O10 1.444, C55 1.539, H116 1.078, H141 1.113
28 C 23.464 18.486 9.998  C69 1.592, C86 1.524, H189 1.129, H224 1.079
29 C 14.332 15.398 13.836  C26 1.549, H167 1.072, H173 1.096, H231 1.081
30 C 19.402 13.400 14.546  C73 1.576, H102 1.078, H118 1.096, H201 1.073
31 C 18.696 20.378 23.691  C21 1.486, H115 1.104, H178 1.089, H205 1.060
32 C 11.638 15.901 17.307  C20 1.552, C44 1.555, H209 1.110, H233 1.104
33 C 20.282 20.068 20.645  C57 1.516, C66 1.497, H153 1.135, H206 1.097
34 C 13.451 17.642 17.761  C20 1.559, C72 1.468, H92 1.108, H97 1.074
35 C 21.938 17.659 11.991  N11 1.503, C50 1.530, C68 1.549, C69 1.585
36 C 12.448 19.669 16.586  C72 1.576, H125 1.104, H137 1.085, H181 1.044
37 C 19.297 23.474 13.035  N15 1.489, C65 1.494, C67 1.507, C78 1.498
38 C 22.285 18.706 17.792  C42 1.557, H121 1.107, H164 1.127, H198 1.065
39 C 13.628 15.673 11.447  C26 1.560, C58 1.514, H180 1.072, H208 1.074
40 C 15.505 14.793 21.444  N14 1.451, C49 1.620, C53 1.562, C80 1.539
41 C 16.658 17.573 10.480  C51 1.576, H134 1.080, H170 1.096, H204 1.117
42 C 21.116 18.825 16.772  O9 1.434, C38 1.557, H90 1.100, H218 1.138
43 C 24.487 18.449 12.389  N11 1.528, C24 1.538, C59 1.545, C86 1.557
........
So much for the records of molecules:

After that was time to make breakfast, oatmeal with fresh strawberries. 

Very simple food but everything tastes good in nature.

# What comes next are calculated molecules, not part of the article
'''
[1]
Below is a cluster of 3 separate species, C12H28BrClNO6P2 in total, with properties calculated with wB97M-V/def2-TZVPD.

**HOMO level**: -4.28 eV
**HOMO-LUMO gap**: 6.946 eV
**Maximum force**: 1.6 eV/A
**Molecular weight**: 459.7 g/mol
**Charge**: -1
**Total energy**: -127817.7984 eV

```
51
Properties=species:S:1:pos:R:3:forces:R:3:nbo_charge:R:1
C -1.284614 -3.562440 -3.093488 0.2 -0.6 0.0 -0.950
P -1.168112 -3.534532 -1.211310 -1.0 0.9 -0.9 1.240
O -2.562396 -4.594924 -1.086005 0.2 0.0 0.1 -1.040
C 0.437771 -2.419908 -1.192783 0.1 0.0 0.1 -0.864
C 0.282268 -0.948035 -1.171936 0.5 -0.1 0.6 0.607
O 0.764759 -0.181566 -0.398325 -0.3 -0.1 -0.2 -0.549
Cl -0.702429 -0.263789 -2.519387 -0.1 0.1 -0.3 -0.150
N -0.014304 -5.021088 -1.287811 -0.2 -0.3 0.4 -0.856
C -0.216432 -6.033293 -0.664102 0.2 0.6 0.1 0.833
O -0.349244 -7.000264 -0.012039 0.0 -0.5 -0.1 -0.573
P -0.973184 -3.572231 1.104754 0.8 -0.5 0.1 0.710
O -2.163992 -4.528457 1.695900 -0.1 0.4 0.3 -0.991
Br -1.752399 -1.489908 1.532086 -0.2 0.1 0.0 -0.325
H -1.588710 -4.571936 -3.377795 -0.1 0.1 0.0 0.220
H -0.327061 -3.380569 -3.584953 0.0 0.2 0.0 0.202
H -2.031167 -2.854586 -3.455266 0.1 0.1 0.1 0.206
H -2.031598 -2.376139 -1.146717 0.1 0.0 0.2 -0.169
H -3.294704 -4.079707 -1.433501 -0.1 0.0 0.0 0.463
H 1.035230 -2.685175 -0.317193 0.1 0.1 0.0 0.245
H 1.032847 -2.674769 -2.071817 -0.2 -0.1 -0.1 0.257
H -3.037176 -4.195012 1.455412 -0.1 -0.3 -0.3 0.485
C 6.373471 2.879620 1.316800 0.0 0.0 0.1 -0.644
C 6.207172 1.783260 0.276340 0.0 0.0 -0.1 -0.061
O 5.559769 0.623739 0.753733 0.1 -0.1 0.0 -0.537
C 4.236494 0.808765 1.244183 -0.1 0.0 0.1 -0.067
C 3.259983 1.365258 0.226569 0.3 0.2 -0.1 -0.642
H 6.921194 2.504056 2.182752 0.0 0.0 0.0 0.207
H 6.926520 3.718147 0.890095 0.0 0.0 0.0 0.206
H 5.412586 3.258084 1.666719 0.0 0.0 0.0 0.206
H 7.190097 1.444633 -0.055686 0.0 0.0 0.0 0.179
H 5.692852 2.176200 -0.608793 0.0 0.0 0.0 0.159
H 4.251464 1.434197 2.145067 0.0 0.0 0.0 0.149
H 3.909048 -0.181935 1.557848 0.0 0.0 0.0 0.196
H 3.545385 2.366996 -0.105549 0.0 0.0 0.1 0.185
H 2.264314 1.425421 0.658741 0.0 -0.1 0.0 0.242
H 3.211329 0.721993 -0.650484 -0.1 0.0 0.0 0.220
C -2.492388 4.327555 0.411380 0.0 0.0 0.1 -0.643
C -2.568052 2.859472 0.023309 0.0 0.0 -0.1 -0.066
O -2.892403 1.996493 1.093764 0.1 -0.1 0.1 -0.523
C -4.132296 2.208960 1.731203 -0.1 0.0 0.0 -0.061
C -5.334298 2.078754 0.809815 0.0 0.0 -0.1 -0.645
H -1.766905 4.471938 1.213582 0.0 0.0 0.0 0.210
H -2.184734 4.923595 -0.449135 0.0 0.0 0.0 0.210
H -3.453954 4.712755 0.756217 0.0 0.0 0.0 0.195
H -1.593247 2.518596 -0.325440 0.0 0.0 0.0 0.205
H -3.265662 2.719236 -0.811168 0.0 0.0 0.0 0.156
H -4.145983 3.180387 2.243360 0.0 0.0 0.0 0.148
H -4.184904 1.444372 2.507029 0.0 0.0 0.0 0.191
H -5.330770 2.833546 0.021702 0.0 0.0 0.0 0.198
H -6.256841 2.198026 1.380546 0.0 0.0 0.0 0.206
H -5.340059 1.097386 0.333844 0.0 0.0 0.0 0.220
```
Positions in Å, forces in eV/Å.

=====

[2]
'''

Sunday afternoon was time to pack and take one group photo. It was very good time with good friends as always in BCFIN-meetings. And before leaving our tradition "Goodiebag" which idea is that everybody bring something small items into the bag and at the end lottery will tell who wins it´s contents

Rautasarvi was lucky bastard this time :D

...and here the GoodieBag content.

Thank you guys who made this weekend very memorable by being there!
Waiting next meet which I can attend...

[Between two parts of the article: calculated molecules]
<<<
The following is a quantum chemistry calculation of a molecular structure, C2H5AlLiO2, from the OMol25 dataset.

```
11
Properties=species:S:1:pos:R:3:forces:R:3
O -1.562987 0.100185 0.044429 -0.317 -2.106 2.618
C -0.826393 0.238983 1.148665 0.000 1.515 3.210
C 0.411085 0.683852 1.351925 1.077 -4.498 -0.721
Li -1.838722 -1.620889 -0.557764 -0.229 -0.993 -0.311
Al -1.546574 1.404483 -1.034570 -0.064 3.063 -2.776
H 0.344524 -0.489656 1.909559 0.871 1.833 -0.500
H -0.800003 0.586287 2.390953 -2.533 -0.366 -1.479
H 1.137105 0.474400 0.566408 1.319 1.495 -0.096
H 1.561315 0.156500 -1.346532 1.253 -0.783 -0.840
O 1.268313 -0.432526 -2.053548 -2.169 0.466 0.391
H 1.852336 -1.101618 -2.419526 0.792 0.374 0.503
```
Forces are in eV/Å.

## Properties
HOMO energy (alpha / beta) = -18.56 / -18.10 eV
E = -478.7814 hartree
total charge = +2
LUMO level (alpha / beta) = -9.054 / -12.690 eV
HOMO-LUMO gap (alpha / beta) = 9.508 / 5.409 eV
spin multiplicity = 2


(1)
4 unconnected molecules or ions with the total composition C34H70N5O2S2 in a non-equilibrium geometry. Source: OMol25; level of theory: ωB97M-V/def2-TZVPD.

Output
Kohn-Sham gap = 0.2914 hartree
HOMO = -11.497 eV
total energy = -69600.981 eV
lowest unoccupied orbital energy = -3.6 eV
energy above the lowest of the compared OMol25 structures with the same formula, charge and spin = 0.000 eV
net charge = +1

Geometry as XYZ:
```
113
Properties=species:S:1:pos:R:3:forces:R:3:lowdin_charge:R:1
C 6.425180 -1.242166 2.077462 -0.5186 -0.3357 0.3729 -0.09
C 6.058485 -2.729188 1.923491 0.1458 0.5206 0.0154 -0.22
C 4.689899 -3.001459 1.331143 0.4604 -0.1474 0.3332 -0.15
N 3.521713 -2.741946 2.236188 -0.1416 0.2374 0.2389 -0.01
C 2.394439 -3.706710 2.056034 -0.0772 0.2349 0.8913 -0.04
C 1.298285 -2.958425 1.258140 0.9155 0.0334 -0.3949 -0.19
C 0.085490 -2.559900 2.087898 -0.5994 -0.3908 -0.0128 -0.13
C -0.452326 -3.666868 3.017365 0.4313 0.3931 -0.0370 -0.15
C -0.108006 -3.449275 4.483343 -0.0007 -0.1945 0.2200 -0.28
O -1.144949 -4.016280 5.257047 -0.0602 -0.1509 -0.0709 -0.05
N 2.076594 -1.736538 0.823874 -1.1915 0.7750 0.8914 0.03
C 1.282539 -0.606739 0.305004 0.6038 -0.3345 -0.8002 -0.15
C 2.097855 0.214821 -0.709816 0.4805 0.0494 0.6409 -0.20
C 2.081582 1.717465 -0.434539 0.0545 -0.4820 -0.2884 -0.46
S 0.404803 2.390974 -0.277586 0.1233 0.4024 -0.0691 0.95
C -0.128038 2.136275 1.389852 -0.0471 -0.4221 0.2966 -1.06
S -1.519090 1.340233 1.617590 -0.3843 0.1309 -0.0762 0.77
N 0.580864 2.642960 2.484054 0.1148 0.2145 0.0532 -0.12
C 0.067268 2.784369 3.770846 -0.0622 -0.0789 0.5722 -0.09
C 1.060198 3.265607 4.543399 0.4061 -0.0134 -0.4913 -0.11
N 2.222360 3.439993 3.793120 -0.5998 -0.2630 -0.2078 0.09
C 1.893044 3.079556 2.586180 0.6296 0.3592 0.4852 -0.19
C 2.891181 -1.541686 1.883181 0.7106 -1.1001 -0.9781 -0.31
N 3.078821 -0.447508 2.540352 -0.2361 0.2534 -0.4182 0.14
O 3.890987 -0.340341 3.620339 0.2530 0.3367 0.3214 0.07
H 5.754617 -0.613621 1.495439 0.1343 0.1700 -0.3119 0.06
>>>

Busy times

As you might noticed I haven´t been very active with my blog recently. It´s just cause I have been so busy with my daily life and have had some stuggles so I didn´t had time nor energy to concentrate writing. I still have many stories to tell from last summer and this autumn so you will see some blasts from the past when I´m trying to catch up. So stay tuned!